More than just an electoral upwind? Nordic left-wing parties after the EU elections
Record results for (Centre-)Left parties in the Nordic countries, with far-right parties losing ground. Ada Regelmann gives a sober assessment of the European elections results in Denmark, Finland and Sweden.
Sweden’s Left Party celebrates its biggest win in 20 year
Between two parts of the piece: crystal structures
********
[1]
A relaxed structure of Li2ZnW, computed with PBE.

Computed properties:
Crystal system: orthorhombic

Unit cell a=2.510 b=4.409 c=5.602 alpha=90.00 beta=90.00 gamma=90.00
Atoms (fractional coordinates):
W 0.000 0.000 0.519
Zn 0.500 0.500 0.720
Li 0.000 0.000 0.011
Li 0.500 0.500 0.251

[2]
A relaxed structure of LiZnW2, computed with PBE.

Computed properties:
Crystal system: orthorhombic

Unit cell a=2.606 b=4.224 c=5.640 alpha=90.00 beta=90.00 gamma=90.00
Atoms (fractional coordinates):
Li 0.500 0.500 0.732
Zn 0.000 0.000 0.518
W 0.500 0.500 0.238
W 0.000 0.000 0.012

[3]
A relaxed structure of Li2ZnW, computed with PBE.

Computed properties:
Crystal system: orthorhombic

Unit cell a=2.535 b=4.448 c=5.352 alpha=90.00 beta=90.00 gamma=90.00
Atoms (fractional coordinates):
Li 0.000 0.000 0.497
Zn 0.500 0.500 0.750
Li 0.000 0.000 0.003
W 0.500 0.500 0.250

[4]
A relaxed structure of LiZn2W, computed with PBE.

Computed properties:
Crystal system: tetragonal

Unit cell a=2.654 b=2.654 c=8.587 alpha=90.00 beta=90.00 gamma=90.00
Atoms (fractional coordinates):
Zn 0.000 0.000 0.001
Zn 0.500 0.500 0.250
Li 0.000 0.000 0.491
W 0.500 0.500 0.758

[5]
A relaxed structure of Li2ZnW, computed with PBE.

Computed properties:
Crystal system: tetragonal

Unit cell a=2.595 b=2.595 c=9.113 alpha=90.00 beta=90.00 gamma=90.00
Atoms (fractional coordinates):
Li 0.000 0.000 0.504
Zn 0.500 0.500 0.750
W 0.500 0.500 0.250
Li 0.000 0.000 0.996

[6]
A relaxed structure of LiZn2W, computed with PBE.

Computed properties:
Crystal system: monoclinic

Unit cell a=5.195 b=5.195 c=4.850 alpha=71.53 beta=71.53 gamma=29.04
Atoms (fractional coordinates):
Zn 0.011 0.011 0.078
W 0.264 0.264 0.168
Li 0.488 0.488 0.573
Zn 0.738 0.738 0.681

no.,formation energy (meV/atom)
1,351
2,346
3,410
4,197
5,251
6,167

~~~~~

[1]
# HgP2Os

An optimized crystal structure of HgP2Os (PBE, Alexandria).

Cell lengths 5.6510, 5.6510, 11.0476 Å; angles 90.00, 90.00, 90.00 degrees
Space group I-42d (No. 122)
Asymmetric unit:
Hg1 0.0000 0.0000 0.0000
P1 0.1891 0.2500 0.6250
Os1 0.0000 0.0000 0.5000

## Properties
final energy	-86.9	eV/cell
E_form	59	kJ/mol of formula units
M_tot	0.0	μB per formula unit

[2]
# Y3Ga4Ir2

An optimized crystal structure of Y3Ga4Ir2 (PBE, Alexandria).

Cell lengths 10.5757, 4.4538, 8.3998 Å; angles 90.00, 114.52, 90.00 degrees
Space group C2/m (No. 12)
Asymmetric unit:
Y1 0.0000 0.0000 0.0000
Y2 0.1804 0.5000 0.6456
Ga1 0.0387 0.0000 0.3718
Ga2 0.2005 0.5000 0.0383
Ir1 0.0911 0.5000 0.2609

## Properties
relative energy among the computed polymorphs	0	meV per atom
final energy	-112.3	eV/cell
E_form	-668	kJ/mol of formula units
M_tot	0.0	μB per formula unit

[3]
# YAl2Tc

An optimized crystal structure of YAl2Tc (PBE, Alexandria).

Cell lengths 3.4966, 4.7735, 8.9458 Å; angles 90.00, 90.00, 90.00 degrees
Space group Immm (No. 71)
Asymmetric unit:
Y1 0.0000 0.0000 0.0000
Al1 0.0000 0.5000 0.2238
Tc1 0.0000 0.0000 0.5000

## Properties
********
John Hörnquist — After winning over 11 percent of the vote in June’s European Parliament elections, the Swedish Left Party Vänsterpartiet is celebrating its best election results in twenty years.
Green class struggle: Workers and the Just Transition
Gareth Dale — A resilient history of workers’ initiatives overcoming redundancies, alongside recent activist, trade-union and workforce collaborations, provide concrete examples for empowered just transitions.
Sri Lanka: The conjuncture in the crisis
Balasingham Skanthakumar looks at the conjuncture in Sri Lanka, two years after the citizens’ movement and in the run-up to the presidential election later this year.
Mariana Riscali — In confronting the far right, unity among all who oppose the far right and defend democracy is essential. At the same time, we must maintain our political independence and remain true to our program.
[Someone pasted calculated crystals at this point]
No. 1
VASP calculation (GGA-PBE) on a relaxed structure of CsH2Cl4.

Properties
* total energy: -20.3 eV/f.u.

Cell lengths 6.5644, 11.4945, 11.7020 Å; angles 90.00, 90.00, 90.00 degrees
Space group Cccm (No. 66)
Unique sites:
1 Cs 0.0000 0.0000 0.2500
2 H 0.0411 0.3455 0.0000
3 Cl 0.2122 0.4037 0.0000
4 Cl 0.2500 0.2500 0.3876

=====

No. 2
VASP calculation (GGA-PBE) on a relaxed structure of Cs8H2Cl.

Properties
* total energy: -19.4 eV/f.u.

Cell lengths 15.4777, 13.2902, 8.2864 Å; angles 90.00, 91.38, 90.00 degrees
Space group C2/m (No. 12)
Unique sites:
1 Cs 0.1118 0.1819 0.2734
2 Cs 0.1196 0.5000 0.7678
3 Cs 0.1784 0.0000 0.7816
4 H 0.1934 0.0000 0.1360
5 Cl 0.0000 0.0000 0.5000

=====

Question: Among the records above, which one has the lowest total energy?
Answer: CsH2Cl4

=====

First-principles (GGA-PBE) data for ZrMnIr2 after structural relaxation, as listed in Alexandria via LeMat-Bulk.

Structure (extended XYZ):
```
8
Lattice="-2.006 2.006 8.790 2.006 -2.006 8.790 2.006 2.006 -8.790" Properties=species:S:1:pos:R:3 pbc="T T T"
Zr 0.000 0.000 0.000
Zr 0.000 2.006 4.395
Mn 2.006 0.000 4.395
Mn 0.000 0.000 8.790
Ir 1.003 -0.820 6.593
Ir 1.186 1.003 2.198
Ir 1.003 2.826 -2.198
Ir 0.820 1.003 10.988
```

Values from the calculation:
* space group: I-42d (122)

First-principles (GGA-PBE) data for ZrMnIr3 after structural relaxation, as listed in Alexandria via LeMat-Bulk.

Structure (extended XYZ):
```
5
Lattice="4.477 0.000 0.000 0.000 4.477 0.000 0.000 0.000 4.477" Properties=species:S:1:pos:R:3 pbc="T T T"
Zr 0.000 0.000 0.000
Mn 2.238 2.238 2.238
Ir 0.000 2.238 2.238
Ir 2.238 0.000 2.238
Ir 2.238 2.238 0.000
```

Values from the calculation:
* space group: Pm-3m (221)
* energy relative to the lowest polymorph listed for this composition: 0.000 eV per atom

First-principles (GGA-PBE) data for ZrMn2Ir after structural relaxation, as listed in Alexandria via LeMat-Bulk.

Structure (extended XYZ):
```
4
Lattice="1.426 0.823 8.933 -1.426 0.823 8.933 0.000 -1.646 8.933" Properties=species:S:1:pos:R:3 pbc="T T T"
Zr 0.000 0.000 0.000
Mn 0.000 0.000 6.507
Mn 0.000 0.000 20.292
Ir 0.000 0.000 13.400
```

Values from the calculation:
* space group: R-3m (166)

First-principles (GGA-PBE) data for Zr3MnIr after structural relaxation, as listed in Alexandria via LeMat-Bulk.

Structure (extended XYZ):
```
5
Lattice="4.694 0.000 0.000 0.000 4.694 0.000 0.000 0.000 4.694" Properties=species:S:1:pos:R:3 pbc="T T T"
Zr 0.000 0.000 2.347
Zr 0.000 2.347 0.000
Zr 2.347 0.000 0.000
Mn 0.000 0.000 0.000
Ir 2.347 2.347 2.347
```

Values from the calculation:
* space group: Pm-3m (221)
* energy relative to the lowest polymorph listed for this composition: 0.000 eV per atom

First-principles (GGA-PBE) data for ZrMnIr2 after structural relaxation, as listed in Alexandria via LeMat-Bulk.

Structure (extended XYZ):
```
4
Lattice="2.819 0.000 0.000 0.000 2.819 0.000 0.000 0.000 7.701" Properties=species:S:1:pos:R:3 pbc="T T T"
Zr 0.000 0.000 0.000
From a Russian prison, Boris Kagarlitsky puts forward his views on the rise of the far right and reasons for the left's crisis.
The Global Anti-Apartheid Conference program of action encourages the establishment of activist, grassroots structures in every country to stop the genocide in Gaza.
US empire, global capitalism and the ‘internationalisation’ of states: An interview with Sam Gindin
Sam Gindin discusses the rise of the US empire, its role in creating a truly global capitalism and the challenges it faces today.
Western imperialism’s ideological crisis
**Attached: crystal structures**
+++
(1)
The following is a PBE-GGA calculation of a geometry-optimized CaTb2PrSe4 structure, from Alexandria.

a = 7.2086 Å, b = 4.1359 Å, c = 7.2439 Å
α = 90.00°, β = 109.05°, γ = 90.00°
Last column: nearest neighbours and their distance in Å.
Space group P2/m (No. 10)
Symmetry-distinct sites (fractional):
Ca 0.0000 0.0000 0.0000 [1 per cell]  6 Se 2.94-2.96
Tb 0.5000 0.0000 0.5000 [1 per cell]  6 Se 2.93-2.94
Tb 0.5000 0.5000 0.0000 [1 per cell]  6 Se 2.89
Pr 0.0000 0.5000 0.5000 [1 per cell]  6 Se 3.00
Se 0.2568 0.5000 0.2471 [2 per cell]  3 Tb 2.89-2.93, 2 Ca 2.96, 1 Pr 3.00
Se 0.2598 0.0000 0.7596 [2 per cell]  3 Tb 2.89-2.94, 1 Ca 2.94, 2 Pr 3.00

Results
The spin magnetization is 0.00 μB/cell.

(2)
The following is a PBE-GGA calculation of a geometry-optimized CaTbPr2Se4 structure, from Alexandria.

a = 7.2435 Å, b = 4.1663 Å, c = 7.3582 Å
α = 90.00°, β = 108.92°, γ = 90.00°
Last column: nearest neighbours and their distance in Å.
Space group P2/m (No. 10)
Symmetry-distinct sites (fractional):
Ca 0.0000 0.0000 0.0000 [1 per cell]  6 Se 2.91-2.93
Tb 0.5000 0.5000 0.0000 [1 per cell]  6 Se 2.91
Pr 0.0000 0.5000 0.5000 [1 per cell]  6 Se 3.03-3.04
Pr 0.5000 0.0000 0.5000 [1 per cell]  6 Se 3.02-3.03
Se 0.2474 0.5000 0.2370 [2 per cell]  1 Tb 2.91, 2 Ca 2.93, 3 Pr 3.02-3.03
Se 0.2553 0.0000 0.7646 [2 per cell]  2 Tb 2.91, 1 Ca 2.91, 3 Pr 3.03-3.04

Results
The spin magnetization is 0.00 μB/cell.

(3)
The following is a PBE-GGA calculation of a geometry-optimized CaTb3Pr4Se8 structure, from Alexandria.

a = 8.3117 Å, b = 8.3117 Å, c = 20.8957 Å
α = 90.00°, β = 90.00°, γ = 120.00°
Last column: nearest neighbours and their distance in Å.
Space group R-3m (No. 166, hexagonal axes)
Symmetry-distinct sites (fractional):
Ca 0.0000 0.0000 0.0000 [3 per cell]  6 Se 2.91
Tb 0.0000 0.5000 0.0000 [9 per cell]  6 Se 2.90
Pr 0.0000 0.0000 0.5000 [3 per cell]  6 Se 3.02
Pr 0.0000 0.5000 0.5000 [9 per cell]  6 Se 3.03
Se 0.0000 0.0000 0.2552 [6 per cell]  3 Tb 2.90, 3 Pr 3.03
Se 0.0006 0.5003 0.2551 [18 per cell]  2 Tb 2.90, 1 Ca 2.91, 3 Pr 3.02-3.03

Results
The spin magnetization is 0.00 μB/cell.

(4)
The following is a PBE-GGA calculation of a geometry-optimized CaTb3Pr2Se6 structure, from Alexandria.

a = 18.2059 Å, b = 4.1400 Å, c = 8.4047 Å
α = 90.00°, β = 103.57°, γ = 90.00°
Last column: nearest neighbours and their distance in Å.
Space group C2/m (No. 12)
Symmetry-distinct sites (fractional):
Ca 0.0000 0.0000 0.0000 [2 per cell]  6 Se 2.93-2.96
Tb 0.0000 0.0000 0.5000 [2 per cell]  6 Se 2.85-2.94
Tb 0.1699 0.5000 0.8300 [4 per cell]  6 Se 2.86-2.96
Pr 0.1712 0.5000 0.3412 [4 per cell]  6 Se 2.98-3.08
Se 0.0026 0.5000 0.7498 [4 per cell]  3 Tb 2.94-2.96, 2 Ca 2.96, 1 Pr 3.08
Se 0.1608 0.0000 0.5912 [4 per cell]  3 Tb 2.85-2.86, 3 Pr 2.98-2.99
Se 0.1656 0.0000 0.0723 [4 per cell]  3 Tb 2.92, 1 Ca 2.93, 2 Pr 3.05

Results
The spin magnetization is 0.00 μB/cell.

Summary of formation energy without anion corrections in eV/atom
-1.84 -1.86 -1.83 -1.84
+++
Michael Pröbsting — There are glaring and growing contradictions between the official ideological justifications and actual foreign policies of Western imperialism.
The ‘multipolar world’: A euphemism to support multiple imperialisms
Frederick Thon Ángeles, Manuel Rodríguez Banchs and Jorge Lefevre Tavárez put forward 18 ideas about the new world order, the dangers of rising inter-imperial conflict, and the need to build an independent pole anchored in the international working class.
West African coups: Just changing masters
Paul Martial — Mali, then Burkina Faso, and finally Niger have experienced coups d’état. Some see the coup leaders as new heralds of Africa’s liberation. Unfortunately, the reality is quite different.
Kenya: Everything must fall, everything must change
Njuki Githethwa writes that the current regime in Kenya has been struck a devastating blow by the uprising of youth. But success will depend on how well placed social forces and revolutionary organisations are to extend this uprising.